The glorious season of summer is here and that means two things: Baseball is the only thing to watch, and the two big football games will be arriving in stores shortly. But what do we do while we wait for the first football game (NCAA 09) to arrive in our laps? Well guys and gals, the answer to that question is why I am here.
Below I will be detailing what to play in order quench that sport's thirst that dwells inside our bodies. These games are ranked, based on a combination of how great the particular games are to me, and the relevance they have being played during the summer downtime.
#5 – NCAA Football 08
While this game had some major shortcomings (depth chart bug anyone?) it was still a blast to play and a major step forward from the '07 iteration. At a smooth 60 frames per second on the Xbox 360 version, the gameplay was nothing to sniff at. Popping this game back in might bring some old dynasty stories back to fruition, and if you look hard enough there should be some excellent rosters out now to help quench your NCAA thirst.
#4 – Hot Shots Golf: Out Of Bounds
If you think golf is flat-out boring to watch but you love to replicate the game, then why not play this exciting arcade-style game. This popular franchise has finally made its way onto the Playstation 3 and it could not have made a better debut. From the slick graphics to the new swing style this game is a great golfing alternative to those who are bored with the Tiger Woods franchise. To anyone who has played the past iterations of Hot Shots Golf, this game is a must play.
#3 – FIFA 08
Soccer is always in full swing and if you are not into soccer then shame on you. In the past couple years I have belly flopped into the soccer world and it has been amazing. The soccer games are no different. Last year's version of FIFA was such a drastic improvement compared to the previous versions, which only made it better. The Be A Pro mode is fantastic and the fact that you can play it online with other people from other countries makes it a mode you need to try out. With the '09 version coming out around October, this will help you brush up on those skills that you may have lost while watching REAL football.
#2 – MLB 08: The Show
I don't like baseball. I think it is very boring and has way too long of a season. With that said, this is a fantastic sports game that should not be overlooked. If you have not heard of this game yet, do yourself a favor and play it -- whether it is at a friend's house because you do not have a PS3, or you buy a PS3 just for his game. The amount of depth and little details in this game make it a sports gamer's dream. The commentary, the graphics, the nuances of players, the signature styles, etc. I could go on about what this game has to offer, but that means you would be reading about it rather than playing it.
#1 – UEFA Euro 2008
Someone pasted molecular data at this point:
[1]
# C31H44FeN4OP2

A molecular structure, C31H44FeN4OP2 in a non-equilibrium geometry (wB97M-V/def2-TZVPD, OMol25).

CARTESIAN COORDINATES (ANGSTROEM)
Fe -0.822 -0.496 -1.158
C -3.961 2.441 -1.279
C -3.352 2.888 -0.178
C -3.753 2.614 1.244
C -4.326 1.238 1.646
C -3.758 -0.003 0.963
C -3.791 -0.230 -0.371
C -4.989 0.122 -1.180
C -5.233 1.647 -1.257
C 0.919 -1.670 -1.351
H -3.619 2.725 -2.282
H -2.633 3.718 -0.259
H -4.519 3.343 1.573
H -2.874 2.842 1.872
H -4.138 1.120 2.729
H -5.425 1.258 1.547
H -3.650 -0.870 1.653
H -3.080 -0.883 -0.881
H -5.900 -0.345 -0.751
H -4.861 -0.275 -2.198
H -5.808 1.846 -2.174
H -5.873 1.933 -0.410
H 1.578 -1.262 -2.153
H 0.620 -2.662 -1.753
H 1.610 -1.868 -0.507
P -0.411 -1.241 0.973
P 1.066 0.995 0.327
N -1.573 -2.573 0.675
N 0.527 -2.247 2.159
N 0.263 1.623 -1.204
N 2.193 2.347 0.385
C -1.075 0.190 1.892
C -0.197 1.442 1.589
C -1.884 -2.914 -0.667
C -2.914 -3.840 -0.635
C -3.299 -4.011 0.730
C -2.490 -3.190 1.510
C 1.182 -3.467 1.947
C 1.756 -3.882 3.145
C 1.469 -2.879 4.126
C 0.755 -1.875 3.483
C 0.127 0.746 -2.384
C -0.839 1.381 -3.241
C -1.126 2.625 -2.674
C -0.451 2.748 -1.453
C 1.938 3.716 0.469
C 3.139 4.405 0.278
C 4.180 3.431 0.139
C 3.575 2.172 0.212
H -1.165 -0.017 2.968
H -2.122 0.390 1.555
H -0.786 2.297 1.201
H 0.330 1.760 2.505
H -1.308 -2.508 -1.514
H -3.357 -4.332 -1.496
H -4.065 -4.676 1.101
H -2.467 -2.999 2.573
H 1.197 -3.940 0.970
H 2.308 -4.798 3.324
H 1.725 -2.888 5.178
H 0.379 -0.925 3.834
H 1.035 0.299 -2.761
H -1.214 0.963 -4.177
H -1.789 3.384 -3.092
H -0.362 3.644 -0.833
H 0.935 4.075 0.635
H 3.237 5.477 0.241
H 5.237 3.638 0.022
H 3.942 1.162 0.081
C 5.244 -2.437 -0.789
C 4.901 -0.963 -1.056
C 5.984 -0.067 -0.424
C 4.902 -0.739 -2.590
O 3.696 -0.666 -0.532
H 6.233 -2.698 -1.177
H 4.504 -3.085 -1.268
H 5.214 -2.652 0.285
H 6.997 -0.364 -0.738
H 5.804 0.978 -0.707
H 5.881 -0.141 0.669
H 4.182 -1.436 -3.049
H 4.583 0.293 -2.808
H 5.909 -0.907 -3.000

Values from the calculation:
- LUMO (alpha / beta): -0.96 / -0.97 eV
- Molar mass: 606.51 g/mol
- E_HOMO (alpha / beta): -5.75 / -5.73 eV
- Spin multiplicity: 5
- E_tot: -3447.91011 a.u.

***

[2]
# C3H13NO3

4 unconnected molecules or ions with the total composition C3H13NO3 in a non-equilibrium geometry (wB97M-V/def2-TZVPD, OMol25).

CARTESIAN COORDINATES (ANGSTROEM)
C 2.482 -0.775 -2.177
C 1.357 -0.545 -1.194
C 0.246 -1.246 -1.186
N -0.917 -1.198 -0.376
H 3.354 -1.259 -1.740
H 2.804 0.201 -2.547
H 2.170 -1.342 -3.053
H 1.513 0.301 -0.534
H 0.108 -2.029 -1.939
H -1.508 -2.014 -0.421
H -1.301 -0.280 -0.284
H -2.687 1.646 1.551
H -3.266 1.246 0.176
O -2.792 0.910 0.914
H 0.295 -0.699 1.346
H -0.574 -0.415 2.545
O 0.117 -0.035 2.027
H -0.420 3.129 1.840
H -0.329 1.748 2.428
O -0.651 2.655 2.625

Values from the calculation:
- LUMO: 0.65 eV
- Molar mass: 111.14 g/mol
- SMILES: C/C=C/N.O.O.O
- E_HOMO: -8.40 eV
- Spin multiplicity: 1
- E_tot: -402.54947 a.u.

***

[3]
# C54H113Br3N10
WHAT?! Another soccer game? Isn't this the same game that you listed at number 3? No my friends, it is not. The spectacle that is the Euro tournament just ended this past weekend and if that does not make you want to play soccer than I do not know what will. Now, this game is not just another quick cash-in product from EA. They improved one area that was a problem in past soccer games: player control. Through balls work almost perfectly now, as you can really control your player -- the on-rails feel of previous versions is gone. Expanding on the Be A Pro mode is the new Captain Your Country mode, which gives you the task of actually trying to become the captain of your country (shocker I know). Simply put, you build your player up and do tasks in order to become the captain. If you are a soccer fan, this is truly fun to do.
There you have it, the five games you should play until your summer disappears into the hands of NCAA Football 09. I know many of you will not agree mainly because of the soccer games, but if you like sports games at all you will give them a chance.